It’s all very well searching for the right home at the right price, but when you find it, you must be able to pay for it!
It is essential that you work out exactly how much you are eligible to borrow given your exact financial position, as there are always elements that are easily overlooked.
Between two parts of the entry: data records:
'''
# Ta11Al4
Calculated X-ray powder pattern, Cu Kα (weighted mean of Kα1 and Kα2). Input: a cell relaxed with GGA-PBE.
Intensities are scaled so that the largest is 100.

Most intense lines, 10° ≤ 2θ ≤ 80°, low angle first:
19.20 deg, rel. 49, hkl 1 1 0; 36.70 deg, rel. 74, hkl 1 0 -4; 36.83 deg, rel. 60, hkl 1 0 4; 37.09 deg, rel. 50, hkl 4 0 1; 37.85 deg, rel. 57, hkl 3 0 -3; 38.94 deg, rel. 95, hkl 0 2 2; 39.98 deg, rel. 96, hkl 2 2 -1; 40.04 deg, rel. 70, hkl 1 2 2; 40.89 deg, rel. 100, hkl 1 1 4; 41.07 deg, rel. 51, hkl 4 1 1

Atomic structure:
Lattice parameters (Å, degrees): 10.009 5.210 10.083 90.00 90.45 90.00
Atoms (fractional coordinates):
Ta 0.036 0.000 0.370
Ta 0.104 0.000 0.103
Ta 0.128 0.500 0.538
Ta 0.182 0.247 0.820
Ta 0.182 0.753 0.820
Ta 0.242 0.000 0.565
Ta 0.319 0.250 0.316
Ta 0.319 0.750 0.316
Ta 0.372 0.000 0.036
Ta 0.397 0.500 0.603
Ta 0.463 0.500 0.873
Ta 0.537 0.500 0.127
Ta 0.603 0.500 0.397
Ta 0.628 0.000 0.964
Ta 0.681 0.250 0.684
Ta 0.681 0.750 0.684
Ta 0.758 0.000 0.435
Ta 0.818 0.247 0.180
Ta 0.818 0.753 0.180
Ta 0.872 0.500 0.462
Ta 0.896 0.000 0.897
Ta 0.964 0.000 0.630
Al 0.000 0.500 0.000
Al 0.068 0.500 0.261
Al 0.263 0.500 0.065
Al 0.434 0.000 0.764
Al 0.500 0.000 0.500
Al 0.566 0.000 0.236
Al 0.737 0.500 0.935
Al 0.932 0.500 0.739

=====

No. 1
For Th3Sb2H2, a cell relaxed with PBE gives the calculated powder XRD pattern in this record (a wavelength of 1.5418 Å).

Structural model:
a = 6.3452 Å, b = 7.2594 Å, c = 8.0854 Å
α = 90.00°, β = 116.78°, γ = 90.00°
Element x y z (fractional)
Th: 0.0000 0.0000 0.0000
Th: 0.0000 0.5000 0.5000
Th: 0.3454 0.0850 0.7481
Th: 0.3454 0.4150 0.2481
Th: 0.6546 0.5850 0.7519
Th: 0.6546 0.9150 0.2519
Sb: 0.2395 0.6703 0.8984
Sb: 0.2395 0.8297 0.3984
Sb: 0.7605 0.1703 0.6016
Sb: 0.7605 0.3297 0.1016
H: 0.3554 0.1375 0.0716
H: 0.3554 0.3625 0.5716
H: 0.6446 0.6375 0.4284
H: 0.6446 0.8625 0.9284

Largest 6 diffraction maxima, by intensity, 2θ = 5–70°:
2θ (°)  I_rel
30.8  100
27.5  88
27.0  65
35.5  61
33.5  38
35.0  38

No. 2
For Th4Sb3H, a cell relaxed with PBE gives the calculated powder XRD pattern in this record (a wavelength of 1.5418 Å).

Structural model:
a = 7.1170 Å, b = 7.1170 Å, c = 7.1170 Å
α = 124.56°, β = 79.77°, γ = 127.62°
Element x y z (fractional)
Th: 0.2377 0.0000 0.2377
Th: 0.2756 0.0230 0.7474
Th: 0.2756 0.5282 0.2526
Th: 0.7623 0.0000 0.7623
Sb: 0.2853 0.5102 0.7751
Sb: 0.7351 0.5102 0.2249
Sb: 0.7526 0.2526 0.5000
H: 0.0117 0.0117 0.0000

Largest 6 diffraction maxima, by intensity, 2θ = 5–70°:
2θ (°)  I_rel
32.9  100
31.6  82
39.5  45
52.3  30
66.0  27
16.3  27

No. 3
For Ti6Sb3H, a cell relaxed with PBE gives the calculated powder XRD pattern in this record (a wavelength of 1.5418 Å).

Structural model:
a = 8.7218 Å, b = 8.7218 Å, c = 4.4922 Å
α = 90.00°, β = 90.00°, γ = 103.03°
Element x y z (fractional)
Ti: 0.0668 0.9332 0.5000
Ti: 0.0719 0.5944 0.5029
Ti: 0.2621 0.4049 0.0013
Ti: 0.2623 0.7377 0.0068
Ti: 0.4049 0.2621 0.5013
Ti: 0.4056 0.9281 0.5029
'''
At the Mortgage Advice Center we think it’s paramount that our customers know exactly what they’re letting themselves in for when they are looking for a mortgage. This involves every aspect of your finances including income, what your outgoings are, if you are paying off any other loans – a whole host of things that must be considered but are often not taken into account until the last minute.

So this is why we have not included a mortgage borrowing calculator on our site. Finding out exactly what you can borrow is not as simple as typing a number into a field on an online mortgage borrowing calculator, and pressing ‘GO’! If anything, this is misleading and inaccurate as those all-important considerations are conveniently left out.
We firmly believe that the only mortgage borrowing calculator that can accurately calculate a sum that you personally can borrow for your mortgage needs, including all the associated costs, is a qualified mortgage professional.
Only a mortgage broker can arrange an agreement with a lender in principle, and this is effectively the first hurdle, as once you know a lender will lend to you, all that’s left is simply a case of finalising the amount. Remember, it’s important to avoid getting yourself into a debt you can’t handle. Your home may be repossessed if you can’t keep up with the repayments. So don’t be misled into planning your future based on an online mortgage borrowing calculator.

_The text is interrupted by calculated crystals_
- - -
The following is a computed X-ray powder pattern of La2Nb2N2O5. It was derived from DFT lattice parameters and positions (PBE), using Cu Ka.
Lines closer than 0.1° are merged.

Principal peaks in the range 2θ from 15° to 90°, by angle:
2θ = 26.22°, d = 3.399 Å, rel. 54
2θ = 27.30°, d = 3.267 Å, rel. 52
2θ = 28.77°, d = 3.103 Å, rel. 100
2θ = 28.94°, d = 3.086 Å, rel. 81
2θ = 30.32°, d = 2.948 Å, rel. 40
2θ = 30.98°, d = 2.886 Å, rel. 74
2θ = 31.64°, d = 2.828 Å, rel. 56
2θ = 31.90°, d = 2.806 Å, rel. 49
2θ = 45.25°, d = 2.004 Å, rel. 56
2θ = 55.85°, d = 1.646 Å, rel. 43

Crystal structure
```
data_La2Nb2N2O5
_space_group_name_H-M_alt 'C 1 m 1'
_space_group_IT_number 8
_space_group_name_Hall 'C -2y'
_cell_length_a 27.1912
_cell_length_b 4.0077
_cell_length_c 5.7734
_cell_angle_alpha 90.00
_cell_angle_beta 90.86
_cell_angle_gamma 90.00
loop_
_atom_site_label
_atom_site_fract_x
_atom_site_fract_y
_atom_site_fract_z
La1 0.0000 0.0000 0.0000
La2 0.0748 0.5000 0.4954
La3 0.2350 0.5000 0.9307
La4 0.3388 0.5000 0.3941
Nb1 0.1293 0.0000 0.9519
Nb2 0.2235 0.0000 0.4372
Nb3 0.3446 0.0000 0.9034
Nb4 0.4479 0.0000 0.4469
N1 0.0025 0.5000 0.2421
N2 0.1698 0.0000 0.6347
N3 0.1920 0.0000 0.1212
N4 0.3751 0.0000 0.6141
O1 0.0654 0.0000 0.7283
O2 0.0815 0.0000 0.2108
O3 0.1293 0.5000 0.9159
O4 0.2414 0.5000 0.4224
O5 0.2720 0.0000 0.7356
O6 0.2964 0.0000 0.2229
O7 0.3288 0.5000 0.9208
O8 0.3966 0.0000 0.1285
O9 0.4349 0.5000 0.4116
O10 0.4881 0.0000 0.7226
```

The following is a computed X-ray powder pattern of Sb2H10C3NCl9. It was derived from DFT lattice parameters and positions (PBE), using Cu Ka.
Lines closer than 0.1° are merged.

Principal peaks in the range 2θ from 15° to 90°, by angle:
2θ = 15.03°, d = 5.895 Å, rel. 66
2θ = 15.33°, d = 5.781 Å, rel. 76
2θ = 16.41°, d = 5.403 Å, rel. 56
2θ = 19.25°, d = 4.612 Å, rel. 61
2θ = 19.54°, d = 4.543 Å, rel. 69
2θ = 20.78°, d = 4.274 Å, rel. 100
2θ = 23.08°, d = 3.854 Å, rel. 66
2θ = 24.41°, d = 3.646 Å, rel. 62
2θ = 28.47°, d = 3.135 Å, rel. 82
2θ = 31.48°, d = 2.842 Å, rel. 61

Crystal structure
```
data_Sb2H10C3NCl9
_space_group_name_H-M_alt 'P 1'
_space_group_IT_number 1
_space_group_name_Hall 'P 1'
_cell_length_a 10.0968
_cell_length_b 11.6059
_cell_length_c 11.8413
_cell_angle_alpha 85.91
_cell_angle_beta 86.34
_cell_angle_gamma 86.83
loop_
_atom_site_label
_atom_site_fract_x
_atom_site_fract_y
_atom_site_fract_z
Sb1 0.0000 0.0000 0.0000
Sb2 0.1013 0.0754 0.4588
Sb3 0.3755 0.1057 0.3948
Sb4 0.7296 0.0445 0.9192
H1 0.0029 0.6993 0.8502
H2 0.0079 0.3289 0.6133
H3 0.0442 0.9377 0.7386
H4 0.0917 0.2253 0.4029
H5 0.2075 0.6163 0.4814
H6 0.2092 0.4450 0.7316
H7 0.2216 0.4602 0.6692
H8 0.2642 0.3688 0.3535
H9 0.3993 0.7848 0.4496
H10 0.4022 0.0166 0.5150
H11 0.4135 0.3937 0.7052
H12 0.5514 0.7356 0.3689
H13 0.5580 0.8442 0.4706
H14 0.6505 0.2186 0.6619
H15 0.6936 0.6244 0.7794
H16 0.7319 0.4648 0.4495
H17 0.7424 0.4528 0.9472
H18 0.9511 0.4370 0.5334
H19 0.9653 0.7206 0.7994
H20 0.9756 0.9509 0.7663
- - -
Why Use Mortgage Advice Center?
- Free Mortgage Quotes
- UK Mortgage Deals to suit your current financial situation
- ‘Whole of Market’ Advice – Unrestricted product range
- Access to all mortgage products including First Time Buyers and Remortgages
- Guidance through entire mortgage process from initial quote to completion
How Much You Can Borrow? Use our Mortgage Borrowing Calculator
-- Data records from another source follow --
........
Structure and theoretical X-ray powder pattern of SrNdHf4O12 (a PBE-relaxed structure; Cu Kα X-rays).

The 10 most intense peaks (2θ from 10° to 90°), in order of rising 2θ:
| Position (°2θ) | I (rel.) |
| --- | --- |
| 18.8 | 26.0 |
| 21.7 | 47.8 |
| 21.9 | 21.8 |
| 30.9 | 48.0 |
| 31.0 | 100.0 |
| 44.2 | 28.6 |
| 49.8 | 16.2 |
| 55.0 | 40.8 |
| 55.2 | 19.9 |
| 64.6 | 15.4 |

Structural model:
Lattice parameters (Å, degrees): 8.2021 5.7680 5.7680 89.56 90.00 90.00
Atoms (fractional coordinates):
Sr (0.0000, 0.0000, 0.0000)
Nd (0.5000, 0.5596, 0.5596)
Hf (0.2514, 0.0392, 0.5153)
Hf (0.2514, 0.5153, 0.0392)
Hf (0.7486, 0.0392, 0.5153)
Hf (0.7486, 0.5153, 0.0392)
O (0.0000, 0.0528, 0.4870)
O (0.0000, 0.4870, 0.0528)
O (0.2389, 0.7491, 0.7491)
O (0.2404, 0.2403, 0.8113)
O (0.2404, 0.8113, 0.2403)
O (0.3076, 0.3332, 0.3332)
O (0.5000, 0.5363, 0.9631)
O (0.5000, 0.9631, 0.5363)
........
By simply filling out the form in the panel on the right, an Independent Financial Advisor will contact you and you can get cracking on finding out how much you can actually borrow and get you a mortgage based specifically on your financial circumstances.
There may be a fee for Mortgage advice. The precise amount will depend upon your circumstances but we estimate that it will be £300